Material
/*
Starting from a cell relaxed with GGA-PBE, the PXRD pattern of Y6As5 was computed for copper Kα.

Cell and atoms:
```
data_Y6As5
_cell_length_a 7.0792
_cell_length_b 7.0792
_cell_length_c 7.0955
_cell_angle_alpha 99.58
_cell_angle_beta 99.58
_cell_angle_gamma 119.93
_symmetry_space_group_name_H-M 'P 1'
_symmetry_Int_Tables_number 1
_symmetry_space_group_name_Hall 'P 1'
loop_
_atom_site_label
_atom_site_type_symbol
_atom_site_fract_x
_atom_site_fract_y
_atom_site_fract_z
Y1 Y 0.0776 0.4157 0.7487
Y2 Y 0.2460 0.2460 0.2543
Y3 Y 0.4157 0.0776 0.7487
Y4 Y 0.5843 0.9224 0.2513
Y5 Y 0.7540 0.7540 0.7457
Y6 Y 0.9224 0.5843 0.2513
As1 As 0.0000 0.0000 0.5000
As2 As 0.1666 0.8334 0.0000
As3 As 0.3335 0.6665 0.5000
As4 As 0.6665 0.3335 0.5000
As5 As 0.8334 0.1666 0.0000
```

The 10 most intense peaks (2θ from 10° to 90°), by angle:
- 30.91 deg, I 100
- 44.26 deg, I 61
- 44.34 deg, I 12
- 54.92 deg, I 13
- 55.02 deg, I 13
- 64.40 deg, I 12
- 73.11 deg, I 21
- 73.21 deg, I 10
- 81.40 deg, I 10
- 81.53 deg, I 10

=====

Diffraction record for Ca3SnS5. The PXRD pattern is calculated, not measured: it uses a DFT-relaxed cell (GGA-PBE, the Materials Project) and Cu Kα (λ = 1.5418 Å).
Kinematic intensities with the Lorentz-polarization factor, no thermal factor.

Structural model:
```
Ca3SnS5
1.0
7.8027 -4.4988 0.0000
7.8027 4.4988 0.0000
-5.0988 0.0000 10.9693
Ca Sn S
9 3 15
Direct
0.0000 0.0000 0.0000
0.0000 0.4828 0.9959
0.1979 0.1979 0.6836
0.1987 0.7726 0.6881
0.2513 0.7790 0.3273
0.4828 0.0000 0.9959
0.7726 0.1987 0.6881
0.7790 0.2513 0.3273
0.7808 0.7808 0.3259
0.2825 0.2825 0.3646
0.4923 0.4923 0.9958
0.7193 0.7193 0.6690
0.1103 0.1103 0.2743
0.1101 0.5364 0.2725
0.1139 0.1139 0.8575
0.3256 0.3256 0.9314
0.3285 0.7689 0.9394
0.3570 0.3570 0.5876
0.4556 0.8832 0.7407
0.5364 0.1101 0.2725
0.5567 0.5567 0.2113
0.6540 0.6540 0.4546
0.7689 0.3285 0.9394
0.8639 0.8639 0.1093
0.8832 0.4556 0.7407
0.8865 0.8865 0.7481
0.9933 0.9933 0.4988
```

Top 12 peaks for 10° ≤ 2θ ≤ 80°, in order of rising 2θ:
2θ = 17.55°, rel. 32
2θ = 17.68°, rel. 59
2θ = 19.72°, rel. 90
2θ = 22.97°, rel. 100
2θ = 24.34°, rel. 69
2θ = 25.17°, rel. 24
2θ = 25.33°, rel. 45
2θ = 26.52°, rel. 25
2θ = 35.80°, rel. 26
2θ = 40.04°, rel. 95
2θ = 40.09°, rel. 54
2θ = 42.68°, rel. 42

=====

Record 1
Simulated powder XRD pattern of Ta3NbIr6 for a wavelength of 1.5418 Å, from the PBE geometry in Alexandria.
Lines closer than 0.1° are merged.

Structural model:
Cell: 4.838 7.459 9.787 Å, 108.65 101.10 101.10°
Element x y z (fractional)
Ta: 0.047 0.352 0.299
Ta: 0.277 0.767 0.503
Ta: 0.358 0.463 0.106
Ta: 0.642 0.537 0.894
Ta: 0.723 0.233 0.497
Ta: 0.953 0.648 0.701
Nb: 0.174 0.051 0.894
Nb: 0.826 0.949 0.106
Ir: 0.049 0.346 0.797
Ir: 0.139 0.052 0.399
Ir: 0.242 0.753 0.002
Ir: 0.343 0.448 0.598
Ir: 0.438 0.149 0.199
Ir: 0.454 0.152 0.701
Ir: 0.546 0.848 0.299
Ir: 0.562 0.851 0.801
Ir: 0.657 0.552 0.402
Ir: 0.758 0.247 0.998
Ir: 0.861 0.948 0.601
Ir: 0.951 0.654 0.203

Top 12 peaks for 5° ≤ 2θ ≤ 70°, in order of rising 2θ:
| 2theta | I (rel.) |
| --- | --- |
| 9.92 | 2 |
| 13.13 | 1 |
| 31.43 | 1 |
| 39.12 | 100 |
| 39.26 | 100 |
| 44.92 | 34 |
| 45.18 | 34 |
| 46.57 | 31 |
| 65.61 | 22 |
| 66.51 | 10 |
| 66.89 | 21 |
| 66.92 | 10 |

=====

Record 2
Simulated powder XRD pattern of W3Se for a wavelength of 1.5418 Å, from the PBE geometry in Alexandria.
Lines closer than 0.1° are merged.

Structural model:
Cell: 5.354 7.984 6.044 Å, 90.00 90.00 90.00°
Element x y z (fractional)
W: 0.039 0.250 0.214
W: 0.249 0.044 0.579
W: 0.249 0.456 0.579
W: 0.251 0.544 0.079
W: 0.251 0.956 0.079
W: 0.461 0.750 0.714
W: 0.539 0.250 0.286
W: 0.749 0.044 0.921
W: 0.749 0.456 0.921
W: 0.751 0.544 0.421
W: 0.751 0.956 0.421
W: 0.961 0.750 0.786
Se: 0.142 0.750 0.387
Se: 0.358 0.250 0.887
Se: 0.642 0.750 0.113
Se: 0.858 0.250 0.613

Top 12 peaks for 5° ≤ 2θ ≤ 70°, in order of rising 2θ:
| 2theta | I (rel.) |
| --- | --- |
| 34.07 | 54 |
| 36.90 | 41 |
| 37.32 | 63 |
| 38.47 | 52 |
| 40.57 | 100 |
*/

Exercise
Could you echo the lines further up from the one with "_symmetry_space_group_name_Hall 'P" to the one with "45.18" unchanged?

Done
_symmetry_space_group_name_Hall 'P 1'
loop_
_atom_site_label
_atom_site_type_symbol
_atom_site_fract_x
_atom_site_fract_y
_atom_site_fract_z
Y1 Y 0.0776 0.4157 0.7487
Y2 Y 0.2460 0.2460 0.2543
Y3 Y 0.4157 0.0776 0.7487
Y4 Y 0.5843 0.9224 0.2513
Y5 Y 0.7540 0.7540 0.7457
Y6 Y 0.9224 0.5843 0.2513
As1 As 0.0000 0.0000 0.5000
As2 As 0.1666 0.8334 0.0000
As3 As 0.3335 0.6665 0.5000
As4 As 0.6665 0.3335 0.5000
As5 As 0.8334 0.1666 0.0000
```

The 10 most intense peaks (2θ from 10° to 90°), by angle:
- 30.91 deg, I 100
- 44.26 deg, I 61
- 44.34 deg, I 12
- 54.92 deg, I 13
- 55.02 deg, I 13
- 64.40 deg, I 12
- 73.11 deg, I 21
- 73.21 deg, I 10
- 81.40 deg, I 10
- 81.53 deg, I 10

=====

Diffraction record for Ca3SnS5. The PXRD pattern is calculated, not measured: it uses a DFT-relaxed cell (GGA-PBE, the Materials Project) and Cu Kα (λ = 1.5418 Å).
Kinematic intensities with the Lorentz-polarization factor, no thermal factor.

Structural model:
```
Ca3SnS5
1.0
7.8027 -4.4988 0.0000
7.8027 4.4988 0.0000
-5.0988 0.0000 10.9693
Ca Sn S
9 3 15
Direct
0.0000 0.0000 0.0000
0.0000 0.4828 0.9959
0.1979 0.1979 0.6836
0.1987 0.7726 0.6881
0.2513 0.7790 0.3273
0.4828 0.0000 0.9959
0.7726 0.1987 0.6881
0.7790 0.2513 0.3273
0.7808 0.7808 0.3259
0.2825 0.2825 0.3646
0.4923 0.4923 0.9958
0.7193 0.7193 0.6690
0.1103 0.1103 0.2743
0.1101 0.5364 0.2725
0.1139 0.1139 0.8575
0.3256 0.3256 0.9314
0.3285 0.7689 0.9394
0.3570 0.3570 0.5876
0.4556 0.8832 0.7407
0.5364 0.1101 0.2725
0.5567 0.5567 0.2113
0.6540 0.6540 0.4546
0.7689 0.3285 0.9394
0.8639 0.8639 0.1093
0.8832 0.4556 0.7407
0.8865 0.8865 0.7481
0.9933 0.9933 0.4988
```

Top 12 peaks for 10° ≤ 2θ ≤ 80°, in order of rising 2θ:
2θ = 17.55°, rel. 32
2θ = 17.68°, rel. 59
2θ = 19.72°, rel. 90
2θ = 22.97°, rel. 100
2θ = 24.34°, rel. 69
2θ = 25.17°, rel. 24
2θ = 25.33°, rel. 45
2θ = 26.52°, rel. 25
2θ = 35.80°, rel. 26
2θ = 40.04°, rel. 95
2θ = 40.09°, rel. 54
2θ = 42.68°, rel. 42

=====

Record 1
Simulated powder XRD pattern of Ta3NbIr6 for a wavelength of 1.5418 Å, from the PBE geometry in Alexandria.
Lines closer than 0.1° are merged.

Structural model:
Cell: 4.838 7.459 9.787 Å, 108.65 101.10 101.10°
Element x y z (fractional)
Ta: 0.047 0.352 0.299
Ta: 0.277 0.767 0.503
Ta: 0.358 0.463 0.106
Ta: 0.642 0.537 0.894
Ta: 0.723 0.233 0.497
Ta: 0.953 0.648 0.701
Nb: 0.174 0.051 0.894
Nb: 0.826 0.949 0.106
Ir: 0.049 0.346 0.797
Ir: 0.139 0.052 0.399
Ir: 0.242 0.753 0.002
Ir: 0.343 0.448 0.598
Ir: 0.438 0.149 0.199
Ir: 0.454 0.152 0.701
Ir: 0.546 0.848 0.299
Ir: 0.562 0.851 0.801
Ir: 0.657 0.552 0.402
Ir: 0.758 0.247 0.998
Ir: 0.861 0.948 0.601
Ir: 0.951 0.654 0.203

Top 12 peaks for 5° ≤ 2θ ≤ 70°, in order of rising 2θ:
| 2theta | I (rel.) |
| --- | --- |
| 9.92 | 2 |
| 13.13 | 1 |
| 31.43 | 1 |
| 39.12 | 100 |
| 39.26 | 100 |
| 44.92 | 34 |
| 45.18 | 34 |